• To do:
Next, search the data further down for the word "enthalpy" and write out each line that has it.
• Input:
........
VASP calculation (GGA-PBE) on a relaxed Ca2Ge crystal.

Cell: 5.1049 5.1049 5.1049 Å, 60.00 60.00 60.00°
Last column: nearest neighbours and their distance in Å.
Atoms (fractional coordinates):
Ca 0.7500 0.7500 0.7500  4 Ge 3.13
Ca 0.2500 0.2500 0.2500  4 Ge 3.13
Ge 0.0000 0.0000 0.0000  8 Ca 3.13

Values from the calculation:
**SG**: Fm-3m, No. 225
**Uncorrected energy**: -3.476 eV/atom
**Formation enthalpy at 0 K**: -0.60 eV per atom
........
• Completed:
**Formation enthalpy at 0 K**: -0.60 eV per atom